By David Berns, PhD, CIO & Cofounder of Simplify.
The 60/40 portfolio, the bread-and-butter portfolio of today’s wealth management industry, is limited to just two core drivers of returns: equities and bonds. Is there someplace else we can turn to for a compelling yet distinct source of returns? Yes, there are several places to look in fact, one of the most interesting being Equity Market Neutral (EMN) investing. EMN strategies can not only provide a compelling source of return that is distinct from equities and bonds, but they can also offer linear diversification to the 60/40, as well as non-linear diversification in the event of larger equity tail events.
But how exactly does a market neutral strategy generate this type of return profile? In this report, we review the mechanics of market neutral equity investing and demonstrate how these strategies can create this intriguing combo of absolute returns and diversification to the 60/40 portfolio.
The Basics of Equity Market Neutral Investing
To properly construct the expected return profile of equity market neutral strategies, we must first learn the basic mechanics behind these algorithms. These strategies begin by analyzing a large set of factors and identifying a short list of those factors that have predictive value. For example, let’s consider the factor Return on Equity (ROE). ROE is defined as Net Income/Average Shareholders Equity and is a concise measure of how efficiently profits are being generated by a company. ROE is often a good predictor of future returns, as high ROE stocks generally outperform low ROE stocks over longer horizons.
These strategies analyze all factors on multiple lookback periods, from as short as 1 month to as long as 10 years, fully capturing predictive abilities from shorter-term, regime-based dynamics to longer-term, structural characteristics. Once a small set of predictive factors has been selected for inclusion into the model, the system generates 1-month forecasts (for strategies rebalanced monthly) for all stocks in the universe, by combining stock factor exposures with factor forecasts. A portfolio is then constructed that is long those stocks with the highest 1-month expected return and short those stocks with the lowest 1-month expected returns, creating a market neutral portfolio.
The resulting portfolios have a net equity beta near zero but still have non-zero exposures to many of the factors used to make stock predictions. It is these exposures that ultimately generate the full characteristics of the strategy’s return profile. In what follows we show how exposure to different factors can generate absolute returns, linear diversification, and non-linear diversification. There are hundreds of factors that are analyzed in these models, but to illustrate our points we only focus on ROE, which will be sufficient to create the intuition we are looking for.
A Source of Absolute Returns
The first goal of EMN investing is to generate absolute returns and there are two ways these are typically generated. First, there will be net long factor exposures that are strategic in nature, consistently in the portfolio for extended periods. These are factors that have healthy expected returns over longer periods and are teased out from the models trained on longer-term data. Second, there are shorter duration, tactical factor exposures, which come from the training on shorter-term data. You can think of this as an overlay to the more strategic positioning in factor exposures, temporarily departing from the longer-term exposures due to near-term benefits. Let’s give an example of each to help solidify our intuition here.
Strategic Factor Exposures
# Molecular data that have nothing to do with the page
(1)
{
  "formula": "C6H13N",
  "method": "the ωB97M-V functional and the def2-TZVPD basis",
  "energy_ha": -291.13230,
  "homo_lumo_gap_ev": 10.010,
  "multiplicity": 1,
  "smiles": "C=C(CC)CCN",
  "elements": ["N", "H", "H", "H", "H", "C", "C", "H", "H", "H", "H", "C", "C", "H", "H", "H", "H", "C", "C", "H"],
  "coordinates": [[-0.981, 2.007, 1.788], [-2.211, 1.848, 0.095], [0.004, -1.525, -1.960], [2.615, -1.487, -2.046], [0.943, -2.444, -0.833], [-1.544, 1.207, 0.688], [0.676, -1.427, -1.112], [-0.005, -2.394, 1.402], [2.527, -0.402, -0.612], [0.374, 1.317, -0.320], [1.882, 0.105, -2.151], [2.009, -0.759, -1.502], [-0.219, -1.355, 1.220], [-0.232, 2.600, 1.457], [-1.706, 2.578, 2.196], [-0.976, 0.548, -1.208], [-2.144, 0.384, 1.067], [-0.485, 0.645, -0.241], [0.041, -0.751, 0.066], [-0.568, -0.694, 2.007]]
}

***

(2)
{
  "formula": "C6H13N",
  "method": "the ωB97M-V functional and the def2-TZVPD basis",
  "energy_ha": -291.12258,
  "homo_lumo_gap_ev": 9.918,
  "multiplicity": 1,
  "smiles": "C=CCCCNC",
  "elements": ["H", "H", "H", "N", "C", "H", "C", "C", "H", "H", "H", "H", "H", "C", "H", "H", "H", "C", "C", "H"],
  "coordinates": [[-0.642, -1.303, -0.012], [-2.614, 2.266, 1.680], [1.798, 0.059, 0.988], [-1.653, 0.841, 0.520], [1.203, -0.800, -0.964], [1.511, -1.707, -1.495], [2.516, -1.884, 0.881], [1.882, -0.838, 0.377], [-1.476, 1.006, -1.524], [1.647, 0.015, -1.536], [-3.136, 2.210, -0.005], [2.948, -1.862, 1.876], [0.004, 1.403, -0.690], [-0.323, -0.721, -0.874], [-0.741, -1.169, -1.773], [2.641, -2.795, 0.314], [-1.110, 0.629, 1.353], [-0.857, 0.710, -0.678], [-2.274, 2.163, 0.656], [-1.588, 2.973, 0.388]]
}

***

(3)
{
  "formula": "C6H13N",
  "method": "the ωB97M-V functional and the def2-TZVPD basis",
  "energy_ha": -291.13924,
  "homo_lumo_gap_ev": 10.369,
  "multiplicity": 1,
  "smiles": "C=CCC[C@@H](C)N",
  "elements": ["C", "H", "H", "H", "H", "C", "H", "C", "H", "H", "C", "H", "H", "C", "H", "C", "H", "H", "H", "N"],
  "coordinates": [[0.678, 0.615, 0.159], [2.540, -1.558, 0.236], [1.073, 1.196, 1.003], [-0.304, 2.287, -0.689], [-1.376, 1.364, 0.376], [-0.586, 1.273, -0.387], [0.218, -1.505, -0.136], [-1.192, 0.550, -1.576], [-2.402, 2.136, -2.335], [-0.715, -1.821, 1.984], [1.917, -1.339, 1.112], [-2.449, 0.536, -3.234], [-0.241, -0.339, 2.496], [-2.047, 1.111, -2.413], [2.447, -0.633, 1.766], [0.544, -0.824, 0.664], [1.455, 0.613, -0.603], [-0.921, -0.489, -1.732], [1.859, -2.296, 1.633], [-0.499, -0.878, 1.677]]
}

***

(4)
{
  "formula": "C6H13N",
  "method": "the ωB97M-V functional and the def2-TZVPD basis",
  "energy_ha": -291.11621,
  "homo_lumo_gap_ev": 8.958,
  "multiplicity": 1,
  "smiles": "CCC/C=C(/C)N",
  "elements": ["N", "H", "H", "H", "H", "H", "H", "H", "C", "H", "H", "C", "C", "H", "C", "H", "C", "H", "H", "C"],
There are many factors that tend to perform well over longer periods. One such factor is the previously mentioned Return on Equity. Figure 1 shows the performance of a portfolio that is long the stocks in the MSCI World with the highest 20% of ROE exposure and short the stocks with the lowest 20% of ROE exposure, denoted for the rest of this paper as “Quintile L/S ROE”. As you can see, a market neutral exposure that is long the highest ROE stocks and short the lowest ROE stocks performs well over extended periods.
Tactical Factor Exposures
One can improve upon the performance in Figure 1 by being tactical with the exposure, which is accomplished by considering the seasonality (January) effect and combining performance expectations over shorter horizons with the longer-term strategic lens. Figure 2 once again shows the Quintile L/S ROE performance, but it additionally shows the performance where during the month of January we pivot out of ROE and into a reversal factor (long 20% of the stocks that had the worst returns in December and short 20% of the stocks with the best returns in December). You can see the cumulative performance almost double with a similar risk profile.
A Source of Linear Diversification
We’ve just shown how exposure to a factor in an equity market neutral format can provide consistent returns. These strategies also often have a low to negative correlation with the overall equity market, a defining diversification characteristic. While these portfolios have offsetting long and short positions, that create dollar neutrality, they are not necessarily beta neutral. The beta of these funds comes from the summation of the underlying betas of the net factor exposures.
Figure 3 shows the correlation of our Quintile L/S ROE portfolio to the S&P 500, but this time constructing our ROE portfolio from two different stock universes, the Russell 1000 and the MSCI World. As shown, this factor ranges from having slightly negative to highly negative correlations with the broad US equity market, making it not just valuable as a return source, but also as an incredibly compelling diversifier to a broader portfolio. Of course, an equity market neutral strategy will have exposure to many different factors, with varying levels of correlation to equities, but this helps build intuition on how a portfolio of these factor exposures could easily lead to a return profile with negative correlations to one’s broader portfolio.
A Source of Non-Linear Diversification
Factors like ROE clearly have a quality/defensive character, so one may naturally ask whether this factor can also display non-linear benefits to a portfolio during significant equity downturns. Figure 4 shows the performance of the Quintile L/S ROE factor built from the Russell 1000 universe during the last two big S&P 500 drawdowns. As shown, market neutral factor constructions like Quintile L/S ROE can exhibit incredibly strong performance, not just flat or down slightly, during big market moves down. It is these kinds of quality/defensive factors that can help add positive convexity to a portfolio through these EMN strategies.
Many investors today are looking for alternative sources of returns given current market conditions in equities and bonds. Once you understand how equity market neutral portfolios are constructed, you can quickly see how these strategies have the potential to be a compelling form of absolute returns, linear diversification to the 60/40 portfolio, and a source of positive convexity during equity drawdowns.
(The text is interrupted by calculated molecules)
┌──
# C16H30B3Cl14FN2O8S

A molecular structure, C16H30B3Cl14FN2O8S at a distorted geometry (wB97M-V/def2-TZVPD, the Open Molecules 2025 dataset).

Last column: Löwdin charge in e.
Cartesian coordinates (Å):
O 4.366849 -1.045729 -0.696169  0.2609
C 3.297680 -1.419107 -0.510221  -0.2577
N 2.198105 -1.861702 -0.120497  0.3156
B 1.135990 -1.016190 -0.631453  -0.5881
O -0.214964 -1.344274 -0.470915  0.3303
B -0.914549 -0.232992 -0.030802  -0.4255
C -2.472169 -0.398877 0.250335  -0.0806
O -3.193825 0.695923 -0.336871  -0.1217
N -4.539831 0.634413 0.000893  -0.0317
O -5.071765 1.628031 -0.334306  0.0317
O -0.314206 1.023937 0.212932  0.2927
B 0.926495 1.161689 -0.331622  -0.5167
S 2.141292 2.534065 0.135834  0.7452
O 1.523928 3.541580 0.946675  -0.2485
O 2.763365 2.969223 -1.085771  -0.2582
F 3.269611 1.797247 0.997844  -0.1549
O 1.377502 0.239458 -1.262005  0.2862
H -2.698416 -0.555693 1.308463  0.1003
H -2.799749 -1.309772 -0.272753  0.1273
Cl 1.497033 -4.622229 1.506391  0.5611
C 2.377586 -5.827678 0.534602  -0.6498
C 2.049590 -5.721733 -0.933918  -0.6663
Cl 0.375640 -6.217661 -1.286645  0.5454
H 2.140097 -6.813416 0.927373  0.0684
H 3.440532 -5.644670 0.687794  0.0724
H 2.703152 -6.380266 -1.504427  0.0724
H 2.181997 -4.705173 -1.296843  0.0512
Cl -2.532785 1.944634 2.531886  0.6275
C -2.802913 3.399500 1.536705  -0.6267
C -3.152069 4.601523 2.376843  -0.6550
Cl -4.762041 4.449621 3.126789  0.5383
H -3.584125 3.174579 0.816762  0.0440
H -1.877713 3.585311 0.992210  0.0765
H -3.175904 5.490806 1.748942  0.0739
H -2.425104 4.759110 3.169919  0.0683
Cl -7.748208 -1.097898 -0.436483  0.5338
C -8.771998 -0.465613 0.878452  -0.6631
C -8.116522 0.677744 1.612066  -0.6619
Cl -6.707474 0.146640 2.561647  0.5401
H -9.001579 -1.289568 1.549731  0.0658
H -9.699783 -0.124546 0.421373  0.0709
H -8.824805 1.117354 2.313017  0.0714
H -7.784289 1.453846 0.926052  0.0622
Cl 0.443610 -3.113445 4.392700  0.5227
C 2.143966 -3.127691 4.926797  -0.6653
C 2.538419 -1.839022 5.602026  -0.6573
Cl 2.597934 -0.471836 4.457596  0.5361
H 2.766051 -3.330066 4.057474  0.0524
H 2.247344 -3.958089 5.622048  0.0118
H 3.535315 -1.939990 6.028259  0.0742
H 1.847514 -1.579127 6.400356  0.0690
Cl 2.549835 -6.121655 7.229015  0.5503
C 0.771444 -6.256937 7.150813  -0.6521
C 0.315293 -7.692081 7.075191  -0.6642
Cl 0.742110 -8.449848 5.520591  0.5402
H 0.428231 -5.682951 6.292015  0.0484
H 0.378533 -5.791717 8.053576  0.0758
H -0.769093 -7.735578 7.163565  0.0737
H 0.750437 -8.290591 7.871904  0.0673
Cl 1.600665 4.117034 -5.191382  0.5360
C 3.166414 4.276854 -4.352332  -0.6667
C 3.986590 5.418014 -4.896772  -0.6575
Cl 4.563813 5.097478 -6.553555  0.5362
H 3.692192 3.329481 -4.440286  0.0712
H 2.946268 4.448991 -3.300145  0.0558
H 4.868880 5.565731 -4.276242  0.0739
H 3.418666 6.344962 -4.912195  0.0688
Cl 0.800302 4.771647 -10.735956  0.5339
C 2.375882 4.931912 -9.916886  -0.6768
C 3.190368 6.074893 -10.467293  -0.6693
Cl 3.752724 5.762942 -12.130051  0.5320
└──
About the Author:
David Berns has committed his entire career to developing quantitative solutions for the advisory community, with a heavy focus on asset allocation and risk management across liquid and illiquid asset classes. He began his finance career at a $5 billion multi-family office where he developed cutting-edge asset allocation, portfolio management, and risk management systems for managing private and institutional wealth. David then pivoted to developing short- and intermediate-term investment strategies that help improve both return and risk characteristics of a strategic asset allocation. David is most recently the founder and inventor of Portfolio Designer, a cloud-based asset allocation platform helping advisors build customized portfolios with cutting-edge behavioral and statistical techniques.
David has a PhD in Physics from the Massachusetts Institute of Technology in the field of Quantum Computation and is the author of "Modern Asset Allocation for Wealth Management” published by Wiley.